After more than a decade of trying to find a way to fund research on diseases that affect the developing world, the World Health Organization (WHO) made a decisive move last month when it announced its first pilot projects. As Nature reported (see Nature 505, 142; 2014), the WHO hopes that these projects will break the stalemate over research on neglected conditions such as kala-azar, a deadly parasitic disease that afflicts hundreds of thousands of the world’s poorest people.

The WHO is taking giant strides, but they are in the wrong direction. The projects are based on flawed logic and will waste time and money. Worse, this initiative could actively damage existing projects to develop such medicines. The WHO pilot should be stopped.

I do not make these claims lightly. I was involved in the WHO analysis, drafting and recommendations, and know how difficult it has been.

The pilot projects are the culmination of a ten-year negotiation that aimed to achieve two goals: to make commercial medicines more affordable for the developing world, and to stimulate public (non-profit) development of medicines for neglected diseases.

• Here the page breaks off for data records:
____________
# 1
Entry from the Materials Project: GdGa8Fe4 after structural relaxation (PBE-GGA).

Properties
As for the space group: I4/mmm, No. 139. The value obtained for the energy of formation is -6.55 kcal/mol of atoms.

Unit cell a=6.6389 b=6.6389 c=6.6389 alpha=98.43 beta=98.43 gamma=134.96
Closest atoms and distances in Å follow each position.
Sites, in units of the cell vectors:
Gd 0.0000 0.0000 0.0000  12 Ga 2.96-3.17
Ga 0.2811 0.5000 0.7811  4 Fe 2.53, 6 Ga 2.68-2.80
Ga 0.7189 0.5000 0.2189  4 Fe 2.53, 6 Ga 2.68-2.80
Ga 0.5000 0.2811 0.7811  4 Fe 2.53, 6 Ga 2.68-2.80
Ga 0.5000 0.7189 0.2189  4 Fe 2.53, 6 Ga 2.68-2.80
Ga 0.3407 0.0000 0.3407  4 Fe 2.63, 5 Ga 2.75-2.80
Ga 0.6593 0.0000 0.6593  4 Fe 2.63, 5 Ga 2.75-2.80
Ga 0.0000 0.3407 0.3407  4 Fe 2.63, 5 Ga 2.75-2.80
Ga 0.0000 0.6593 0.6593  4 Fe 2.63, 5 Ga 2.75-2.80
Fe 0.5000 0.5000 0.5000  8 Ga 2.53-2.63, 2 Fe 2.54
Fe 0.0000 0.0000 0.5000  8 Ga 2.53-2.63, 2 Fe 2.54
Fe 0.0000 0.5000 0.0000  8 Ga 2.53-2.63, 2 Fe 2.54
Fe 0.5000 0.0000 0.0000  8 Ga 2.53-2.63, 2 Fe 2.54



# 2
Entry from the Materials Project: GdGa6Fe6 after structural relaxation (PBE-GGA).

Properties
As for the space group: Fmmm, No. 69. The value obtained for the energy of formation is -3.07 kcal/mol of atoms.

Unit cell a=8.5025 b=6.5617 c=6.4403 alpha=81.67 beta=49.78 gamma=48.54
Closest atoms and distances in Å follow each position.
Sites, in units of the cell vectors:
Gd 0.0000 0.0000 0.0000  8 Ga 2.99-3.22, 12 Fe 3.08-3.28
Ga 0.0000 0.0000 0.5000  6 Ga 2.47-2.76, 4 Fe 2.50
Ga 0.5000 0.5000 0.0000  6 Ga 2.47-2.76, 4 Fe 2.50
Ga 0.0198 0.3502 0.6498  5 Fe 2.45-2.73, 1 Ga 2.56
Ga 0.9802 0.6498 0.3502  5 Fe 2.45-2.73, 1 Ga 2.56
Ga 0.6498 0.9802 0.0198  5 Fe 2.45-2.73, 1 Ga 2.56
Ga 0.3502 0.0198 0.9802  5 Fe 2.45-2.73, 1 Ga 2.56
Fe 0.4958 0.2846 0.7154  4 Fe 2.45-2.67, 5 Ga 2.50-2.73
Fe 0.5042 0.7154 0.2846  4 Fe 2.45-2.67, 5 Ga 2.50-2.73
Fe 0.7154 0.5042 0.4958  4 Fe 2.45-2.67, 5 Ga 2.50-2.73
Fe 0.2846 0.4958 0.5042  4 Fe 2.45-2.67, 5 Ga 2.50-2.73
Fe 0.5000 0.0000 0.5000  4 Ga 2.45, 6 Fe 2.45-2.47
Fe 0.0000 0.5000 0.0000  4 Ga 2.45, 6 Fe 2.45-2.47



# 3
Entry from the Materials Project: GaFeGe after structural relaxation (PBE-GGA).

Properties
As for the space group: Fddd, No. 70. The value obtained for the energy of formation is -2.67 kcal/mol of atoms.

Unit cell a=9.0924 b=8.3799 c=5.0349 alpha=81.21 beta=65.62 gamma=33.18
Closest atoms and distances in Å follow each position.
Sites, in units of the cell vectors:
Ga 0.0853 0.0853 0.9147  4 Fe 2.58-2.63, 3 Ga 2.73-2.82
Ga 0.9147 0.9147 0.0853  4 Fe 2.58-2.63, 3 Ga 2.73-2.82
Ga 0.1647 0.1647 0.3353  4 Fe 2.58-2.63, 3 Ga 2.73-2.82
Ga 0.3353 0.3353 0.1647  4 Fe 2.58-2.63, 3 Ga 2.73-2.82
Fe 0.3718 0.3718 0.6282  4 Ge 2.44-2.49, 2 Fe 2.52, 4 Ga 2.58-2.63
Fe 0.6282 0.6282 0.3718  4 Ge 2.44-2.49, 2 Fe 2.52, 4 Ga 2.58-2.63
Fe 0.8782 0.8782 0.6218  4 Ge 2.44-2.49, 2 Fe 2.52, 4 Ga 2.58-2.63
Fe 0.6218 0.6218 0.8782  4 Ge 2.44-2.49, 2 Fe 2.52, 4 Ga 2.58-2.63
____________
• The data records stop here:

The first goal demands complex and contentious efforts to change or replace the commercial pharmaceutical system, which funds its drug research and development (R&D) programmes by charging high prices to patients. This means that new commercial medicines for cancer, blood pressure or AIDS are often priced out of reach of the poor. Proposed alternatives to increase access would replace drug companies’ exclusive patents, substitute company profits with public research prizes and develop a parallel, publicly funded pharmaceutical system. There has been no progress on this.

The second goal is to increase government efforts to develop medicines for non-profit neglected diseases such as malaria, sleeping sickness and parasitic infections. But this not-for-profit work was well under way long before the WHO announced its pilot projects. Govern­ments and philanthropists were investing US$3 billion a year into research for neglected diseases, with more than 360 pharmaceutical projects in the pipeline, thousands of back-up research projects and some 40 neglected-disease drugs already being used by patients in the developing world. The pipeline was good, but the work needed more funding and better coordination between the many funders.

The agency’s approach turns two potentially soluble problems into one insoluble Gordian policy knot.

The WHO’s motives were (and remain) good, but it made the crucial mistake of conflating these two issues. Almost from the start, the agency assumed that profits and patents were the problem not only for access to commercial medicines (they are), but also for not-for-profit public research (they aren’t). And, wanting to take on the commercial model, but unwilling to front up to industry, the WHO chose instead to play out its fight in the neglected diseases. The agency insisted that the pilot projects — all publicly funded, non-profit efforts — must target both goals: to make new medicines and to trial R&D models designed to break commercial patents and profits.

This makes no sense. Innovative R&D models that replace sales revenues, remove monopoly commercial patents or replace commercial profits with public funding can be piloted only in areas that have sales revenues, patents and profits — that is, in commercial areas. Neglected diseases by definition have no profits (that is their problem in the first place), and their R&D has never been funded from sales revenues (which do not exist in impoverished regions). Neglected-disease R&D is a non-profit area that has always been funded by government and philanthropic grants, with almost all the resulting products sold in poor countries at low- or no-profit prices. The WHO has set up a false battle.

The agency’s approach has knock-on effects. First, it creates deep confusion among governments and public-health experts, and turns two potentially soluble problems into one insoluble Gordian policy knot. Funding of neglected diseases cannot be achieved by attacking commercial patents; and commercial access should not be gained by setting up a parallel public R&D system. The two problems need to be separated. The most recent World Health Assembly was painful proof of this, with the neglected-disease proposals sinking to the bottom along with the commercial-access millstone.

Second, WHO actions are in danger of helping to defund and shut down the successful not-for-profit pipeline of drugs for the developing world. Government funding of not-for-profit product development is down $120 million on 2009, and product-development partnerships are down $156 million. Instead of encouraging donors, the WHO is sending a message that a new R&D approach is needed, and setting up its own R&D pilot in competition.

The agency’s pilot process runs a poor second to the existing neglected-disease R&D pipeline. It has no clear priorities, and the final eight projects add little value: half are re-announcements of existing work; others are low-innovation tweaks rather than priority medicines. The pilot proposals should be dropped — they are bad policy all round. The agency should instead focus on real solutions to improve access to commercial medicines — the most pressing need for the world’s poor. And it should get behind the existing neglected-disease pipeline and urge funders to do the same.

Credit: Policy Cures